• Job:
Retype only the last part of the listing further down, starting with the line that has "0.526 -4.689", please.

• Given:
<<<
No. 1
32
Properties=species:S:1:pos:R:3 method="wB97M-V/def2-TZVPD" spin_multiplicity=1 charge=0 orbital_gap_ev="7.16 / 7.16" de_lowest_kj_mol=402.2 e_tot_ev=-15711.7482 lumo_ha="0.00266 / 0.00269"
C 1.510 2.211 -0.275
C 1.333 0.822 0.169
C 2.709 0.368 0.307
C 3.096 -0.891 0.672
C 2.198 -1.986 0.860
C 0.211 0.104 0.319
C 1.326 -2.423 -0.105
C 0.987 -2.011 -1.478
C -2.204 -0.514 0.561
C -1.584 1.080 -1.264
C -1.417 1.917 1.173
C -1.212 0.714 0.292
N 2.754 2.594 -0.295
N 3.533 1.430 0.103
H 0.566 2.734 -0.403
H 4.144 -1.002 1.108
H 2.349 -2.655 1.644
H 0.220 -0.924 0.658
H 0.730 -3.248 0.230
H 0.289 -1.144 -1.508
H 0.307 -2.758 -1.898
H 1.794 -1.878 -2.183
H -3.120 -0.102 0.628
H -1.858 -0.791 1.480
H -2.237 -1.243 -0.278
H -0.808 1.184 -1.995
H -2.342 0.474 -1.574
H -1.989 2.067 -1.232
H -0.924 1.750 2.123
H -2.466 2.148 1.271
H -0.925 2.751 0.696
H 4.468 1.561 -0.141

=====

No. 2
36
Properties=species:S:1:pos:R:3 method="wB97M-V/def2-TZVPD" spin_multiplicity=1 charge=0 orbital_gap_ev=11.52 de_lowest_kj_mol=60.7 e_tot_ev=-21674.2273 smiles=CC#N.CC#N.CC#N.CC#N.CC#N.CC#N lumo_ha=0.00847
C 0.566 1.888 3.333
C 1.690 2.427 4.196
N 2.603 2.802 4.796
H 0.193 0.950 3.745
H 0.884 1.679 2.312
H -0.309 2.525 3.465
C -0.127 0.456 -4.964
C 0.472 1.612 -5.542
N 0.934 2.514 -6.058
H 0.035 0.406 -3.887
H 0.184 -0.452 -5.481
H -1.203 0.493 -5.135
C 3.662 -0.294 5.584
C 3.245 -0.340 4.212
N 2.943 -0.312 3.138
H 4.489 0.368 5.840
H 4.058 -1.277 5.839
H 2.766 -0.043 6.153
C 0.616 0.083 0.117
C 0.933 -0.769 -0.987
N 1.234 -1.438 -1.888
H 1.183 1.011 0.042
H 0.931 -0.464 1.006
H -0.443 0.299 -0.021
C -0.546 -3.554 -3.868
C -1.556 -2.680 -4.349
N -2.359 -1.942 -4.777
H -0.561 -4.523 -4.368
H -0.608 -3.712 -2.791
H 0.372 -2.973 -3.945
C -4.825 0.787 0.543
C -3.477 1.048 1.122
N -2.394 1.211 1.493
H -5.632 0.814 1.275
H -4.851 -0.169 0.019
H -5.101 1.566 -0.168

=====

No. 3
33
Properties=species:S:1:pos:R:3 method="wB97M-V/def2-TZVPD" spin_multiplicity=1 charge=0 orbital_gap_ev=9.55 de_lowest_kj_mol=0.0 e_tot_ev=-25561.0677 smiles="NP(O)c1ccccc1.C1=CCCCC1" lumo_ha=0.02915
C 0.172 -4.121 -3.193
C -1.147 -3.994 -2.913
C 1.121 -4.047 -2.135
C -1.534 -3.472 -1.661
C 0.685 -3.843 -0.853
C -0.656 -3.510 -0.640
C 1.013 4.742 1.349
C 2.028 3.906 0.436
C 0.356 3.745 2.289
C 1.300 2.878 -0.259
C -0.399 2.686 1.519
C 0.195 2.266 0.192
N -0.934 -1.063 0.679
O -2.656 -2.851 0.908
P -1.044 -2.825 0.981
H 0.526 -4.689 -4.034
H -1.945 -4.269 -3.604
H 2.024 -4.580 -2.239
H -2.619 -3.326 -1.407
H 1.279 -4.180 -0.050
H 1.638 5.498 1.787
H 0.385 5.239 0.628
H 2.475 4.699 -0.110
H 2.766 3.355 1.053
H 1.158 3.448 2.973
H -0.415 4.239 2.967
H -1.750 -0.607 0.282
H 1.685 2.619 -1.324
H -0.413 1.816 2.201
H -1.484 2.917 1.536
H -0.339 1.444 -0.349
H -0.532 -0.562 1.457
H -2.938 -3.559 1.535

=====

No. 4
33
Properties=species:S:1:pos:R:3 method="wB97M-V/def2-TZVPD" spin_multiplicity=1 charge=+1 orbital_gap_ev=7.71 de_lowest_kj_mol=348.6 e_tot_ev=-27099.3446 lumo_ha=-0.16090
C 0.840 3.325 -3.674
C 1.557 2.133 -3.731
C -0.318 3.428 -2.817
C 1.172 0.997 -2.949
C -0.650 2.344 -2.086
C 0.090 1.173 -2.188
C 0.298 -1.969 3.390
C 1.188 -0.728 3.427
C -1.249 -1.495 2.082
C -0.664 -0.059 -0.066
C -0.598 -0.075 -1.590
C -1.371 -1.213 0.699
N -2.198 -1.863 -0.096
O -1.872 -0.159 -2.208
S 1.033 -3.559 3.127
H 1.186 4.244 -4.172
H 2.360 1.910 -4.405
H -0.812 4.383 -2.604
H 1.469 -0.009 -3.066
H -1.517 2.456 -1.457
H 1.739 -0.785 2.483
H 0.806 0.091 3.821
H 2.028 -0.909 4.200
H -0.330 -2.105 4.225
H -1.274 -0.675 2.756
H -2.023 -2.215 2.354
H 0.348 -0.044 0.418
H -1.099 0.970 0.181
H 0.005 -0.980 -1.940
H -2.116 -1.743 -1.099
H -2.999 -2.440 0.186
H 2.133 -3.164 2.398
H -2.334 0.685 -2.296

=====

No. 5
32
Properties=species:S:1:pos:R:3 method="wB97M-V/def2-TZVPD" spin_multiplicity=1 charge=0 orbital_gap_ev=9.98 de_lowest_kj_mol=107.4 e_tot_ev=-16829.6077 smiles="CC/C=C/CCCC[C@H]1C=COC1=O" lumo_ha=0.03146
O -3.117 1.598 1.723
O -3.075 0.610 3.798
C -2.693 0.748 2.525
C -2.223 -0.314 4.359
>>>

• Result:
H 0.526 -4.689 -4.034
H -1.945 -4.269 -3.604
H 2.024 -4.580 -2.239
H -2.619 -3.326 -1.407
H 1.279 -4.180 -0.050
H 1.638 5.498 1.787
H 0.385 5.239 0.628
H 2.475 4.699 -0.110
H 2.766 3.355 1.053
H 1.158 3.448 2.973
H -0.415 4.239 2.967
H -1.750 -0.607 0.282
H 1.685 2.619 -1.324
H -0.413 1.816 2.201
H -1.484 2.917 1.536
H -0.339 1.444 -0.349
H -0.532 -0.562 1.457
H -2.938 -3.559 1.535

=====

No. 4
33
Properties=species:S:1:pos:R:3 method="wB97M-V/def2-TZVPD" spin_multiplicity=1 charge=+1 orbital_gap_ev=7.71 de_lowest_kj_mol=348.6 e_tot_ev=-27099.3446 lumo_ha=-0.16090
C 0.840 3.325 -3.674
C 1.557 2.133 -3.731
C -0.318 3.428 -2.817
C 1.172 0.997 -2.949
C -0.650 2.344 -2.086
C 0.090 1.173 -2.188
C 0.298 -1.969 3.390
C 1.188 -0.728 3.427
C -1.249 -1.495 2.082
C -0.664 -0.059 -0.066
C -0.598 -0.075 -1.590
C -1.371 -1.213 0.699
N -2.198 -1.863 -0.096
O -1.872 -0.159 -2.208
S 1.033 -3.559 3.127
H 1.186 4.244 -4.172
H 2.360 1.910 -4.405
H -0.812 4.383 -2.604
H 1.469 -0.009 -3.066
H -1.517 2.456 -1.457
H 1.739 -0.785 2.483
H 0.806 0.091 3.821
H 2.028 -0.909 4.200
H -0.330 -2.105 4.225
H -1.274 -0.675 2.756
H -2.023 -2.215 2.354
H 0.348 -0.044 0.418
H -1.099 0.970 0.181
H 0.005 -0.980 -1.940
H -2.116 -1.743 -1.099
H -2.999 -2.440 0.186
H 2.133 -3.164 2.398
H -2.334 0.685 -2.296

=====

No. 5
32
Properties=species:S:1:pos:R:3 method="wB97M-V/def2-TZVPD" spin_multiplicity=1 charge=0 orbital_gap_ev=9.98 de_lowest_kj_mol=107.4 e_tot_ev=-16829.6077 smiles="CC/C=C/CCCC[C@H]1C=COC1=O" lumo_ha=0.03146
O -3.117 1.598 1.723
O -3.075 0.610 3.798
C -2.693 0.748 2.525
C -2.223 -0.314 4.359